Exercise:
Set down the calculation results below with every line break kept.
Given:
- - -
Starting from the GGA-PBE geometry in the Materials Project, the powder diffraction line list of Sm2AsSe was simulated for copper Kα.
Neutral-atom scattering factors, no anomalous dispersion.

Structural model:
a = 4.1962 Å, b = 4.1962 Å, c = 20.6025 Å
α = 90.00°, β = 90.00°, γ = 120.00°
Element x y z (fractional)
Sm: 0.0000 0.0000 0.2462
Sm: 0.0000 0.0000 0.7538
Sm: 0.3333 0.6667 0.4204
Sm: 0.3333 0.6667 0.9129
Sm: 0.6667 0.3333 0.0871
Sm: 0.6667 0.3333 0.5796
As: 0.0000 0.0000 0.5000
As: 0.3333 0.6667 0.1667
As: 0.6667 0.3333 0.8333
Se: 0.0000 0.0000 0.0000
Se: 0.3333 0.6667 0.6667
Se: 0.6667 0.3333 0.3333

Most intense lines, 2θ = 15–90°, low angle first:
- 25.99°, I 182, (0 1 2)
- 30.10°, I 1000, (1 0 4)
- 43.08°, I 743, (1 1 0)
- 51.01°, I 87, (2 0 2)
- 53.36°, I 63, (0 0 12)
- 53.48°, I 198, (0 2 4)
- 62.56°, I 121, (2 0 8)
- 70.98°, I 330, (2 1 4)
- 78.87°, I 58, (1 0 16)
- 79.02°, I 187, (3 0 0)


(1)
Diffraction record for U6Co. The powder diffraction line list is computed, not measured: it uses a structure optimized by DFT (GGA-PBE) and Cu Kα.

Peak list (12 most intense, 10 to 80 degrees two-theta, by angle)
2θ (°), I/Imax
34.66, 27
36.19, 100
39.51, 6
40.41, 5
45.34, 13
53.94, 7
57.80, 7
58.30, 8
63.11, 21
64.62, 8
65.72, 10
75.45, 12

Crystal structure
a b c (Å): 10.199 10.199 5.176
angles (deg): 90.00 90.00 90.00
Space group I4/mcm (No. 140)
One atom of each set of equivalent atoms:
U  0.095  0.405  0.000 [8 per cell]
U  0.104  0.217  0.500 [16 per cell]
Co  0.000  0.000  0.250 [4 per cell]

=====

(2)
Diffraction record for Y5UCo4. The powder diffraction line list is computed, not measured: it uses a structure optimized by DFT (GGA-PBE) and Cu Kα.

Peak list (12 most intense, 10 to 80 degrees two-theta, by angle)
2θ (°), I/Imax
11.28, 40
14.07, 53
27.32, 15
27.57, 41
34.27, 100
35.13, 18
37.21, 17
38.39, 19
43.68, 38
43.95, 23
56.91, 16
57.44, 18

Crystal structure
a b c (Å): 16.889 4.120 7.031
angles (deg): 90.00 111.79 90.00
Space group C2/m (No. 12)
One atom of each set of equivalent atoms:
Y  0.000  0.000  0.000 [2 per cell]
Y  0.163  0.500  0.545 [4 per cell]
Y  0.178  0.500  0.058 [4 per cell]
U  0.000  0.000  0.500 [2 per cell]
Co  0.017  0.500  0.706 [4 per cell]
Co  0.132  0.000  0.778 [4 per cell]


No. 1
Structure and theoretical PXRD pattern of Sc4PbAuN (a structure optimized by DFT (PBE); a wavelength of 1.5418 Å).

The 10 most intense peaks (10 to 90 degrees two-theta), sorted by position:
d = 4.221 Å, 2θ = 21.05°, I 66
d = 3.605 Å, 2θ = 24.70°, I 31
d = 3.251 Å, 2θ = 27.43°, I 69
d = 3.121 Å, 2θ = 28.60°, I 75
d = 2.864 Å, 2θ = 31.23°, I 24
d = 2.360 Å, 2θ = 38.14°, I 100
d = 2.207 Å, 2θ = 40.89°, I 59
d = 1.882 Å, 2θ = 48.36°, I 22
d = 1.826 Å, 2θ = 49.95°, I 29
d = 1.302 Å, 2θ = 72.63°, I 30

Structural model:
```
Sc4PbAuN
1.0
3.1243 -7.2101 0.0000
3.1243 7.2101 0.0000
0.0000 0.0000 6.2361
Sc Pb Au N
8 2 2 2
direct
0.0000 0.5000 0.0000 Sc
0.0000 0.5000 0.5000 Sc
0.0783 0.9217 0.7500 Sc
0.4047 0.5953 0.7500 Sc
0.5000 0.0000 0.0000 Sc
0.5000 0.0000 0.5000 Sc
0.5953 0.4047 0.2500 Sc
0.9217 0.0783 0.2500 Sc
0.3939 0.6061 0.2500 Pb
0.6061 0.3939 0.7500 Pb
0.1162 0.8838 0.2500 Au
0.8838 0.1162 0.7500 Au
0.2496 0.7504 0.7500 N
0.7504 0.2496 0.2500 N
```



No. 2
Structure and theoretical PXRD pattern of K3NaO (a structure optimized by DFT (PBE); a wavelength of 1.5418 Å).

The 10 most intense peaks (10 to 90 degrees two-theta), sorted by position:
d = 6.839 Å, 2θ = 12.94°, I 76
d = 6.299 Å, 2θ = 14.06°, I 39
d = 6.040 Å, 2θ = 14.67°, I 74
d = 4.220 Å, 2θ = 21.05°, I 38
d = 3.561 Å, 2θ = 25.01°, I 33
d = 3.359 Å, 2θ = 26.54°, I 55
d = 3.219 Å, 2θ = 27.72°, I 43
d = 3.126 Å, 2θ = 28.55°, I 46
d = 2.971 Å, 2θ = 30.08°, I 28
d = 2.735 Å, 2θ = 32.75°, I 100

Structural model:
```
K3NaO
1.0
9.7952 0.0000 0.0000
0.0000 7.7113 0.0000
-8.3938 0.0000 10.9204
K Na O
12 4 4
direct
0.0125 0.2168 0.4805 K
0.0125 0.2832 0.9805 K
0.2350 0.0654 0.8037 K
0.2350 0.4346 0.3037 K
0.4750 0.7224 0.7723 K
- - -
Completed:
Starting from the GGA-PBE geometry in the Materials Project, the powder diffraction line list of Sm2AsSe was simulated for copper Kα.
Neutral-atom scattering factors, no anomalous dispersion.

Structural model:
a = 4.1962 Å, b = 4.1962 Å, c = 20.6025 Å
α = 90.00°, β = 90.00°, γ = 120.00°
Element x y z (fractional)
Sm: 0.0000 0.0000 0.2462
Sm: 0.0000 0.0000 0.7538
Sm: 0.3333 0.6667 0.4204
Sm: 0.3333 0.6667 0.9129
Sm: 0.6667 0.3333 0.0871
Sm: 0.6667 0.3333 0.5796
As: 0.0000 0.0000 0.5000
As: 0.3333 0.6667 0.1667
As: 0.6667 0.3333 0.8333
Se: 0.0000 0.0000 0.0000
Se: 0.3333 0.6667 0.6667
Se: 0.6667 0.3333 0.3333

Most intense lines, 2θ = 15–90°, low angle first:
- 25.99°, I 182, (0 1 2)
- 30.10°, I 1000, (1 0 4)
- 43.08°, I 743, (1 1 0)
- 51.01°, I 87, (2 0 2)
- 53.36°, I 63, (0 0 12)
- 53.48°, I 198, (0 2 4)
- 62.56°, I 121, (2 0 8)
- 70.98°, I 330, (2 1 4)
- 78.87°, I 58, (1 0 16)
- 79.02°, I 187, (3 0 0)


(1)
Diffraction record for U6Co. The powder diffraction line list is computed, not measured: it uses a structure optimized by DFT (GGA-PBE) and Cu Kα.

Peak list (12 most intense, 10 to 80 degrees two-theta, by angle)
2θ (°), I/Imax
34.66, 27
36.19, 100
39.51, 6
40.41, 5
45.34, 13
53.94, 7
57.80, 7
58.30, 8
63.11, 21
64.62, 8
65.72, 10
75.45, 12

Crystal structure
a b c (Å): 10.199 10.199 5.176
angles (deg): 90.00 90.00 90.00
Space group I4/mcm (No. 140)
One atom of each set of equivalent atoms:
U  0.095  0.405  0.000 [8 per cell]
U  0.104  0.217  0.500 [16 per cell]
Co  0.000  0.000  0.250 [4 per cell]

=====

(2)
Diffraction record for Y5UCo4. The powder diffraction line list is computed, not measured: it uses a structure optimized by DFT (GGA-PBE) and Cu Kα.

Peak list (12 most intense, 10 to 80 degrees two-theta, by angle)
2θ (°), I/Imax
11.28, 40
14.07, 53
27.32, 15
27.57, 41
34.27, 100
35.13, 18
37.21, 17
38.39, 19
43.68, 38
43.95, 23
56.91, 16
57.44, 18

Crystal structure
a b c (Å): 16.889 4.120 7.031
angles (deg): 90.00 111.79 90.00
Space group C2/m (No. 12)
One atom of each set of equivalent atoms:
Y  0.000  0.000  0.000 [2 per cell]
Y  0.163  0.500  0.545 [4 per cell]
Y  0.178  0.500  0.058 [4 per cell]
U  0.000  0.000  0.500 [2 per cell]
Co  0.017  0.500  0.706 [4 per cell]
Co  0.132  0.000  0.778 [4 per cell]


No. 1
Structure and theoretical PXRD pattern of Sc4PbAuN (a structure optimized by DFT (PBE); a wavelength of 1.5418 Å).

The 10 most intense peaks (10 to 90 degrees two-theta), sorted by position:
d = 4.221 Å, 2θ = 21.05°, I 66
d = 3.605 Å, 2θ = 24.70°, I 31
d = 3.251 Å, 2θ = 27.43°, I 69
d = 3.121 Å, 2θ = 28.60°, I 75
d = 2.864 Å, 2θ = 31.23°, I 24
d = 2.360 Å, 2θ = 38.14°, I 100
d = 2.207 Å, 2θ = 40.89°, I 59
d = 1.882 Å, 2θ = 48.36°, I 22
d = 1.826 Å, 2θ = 49.95°, I 29
d = 1.302 Å, 2θ = 72.63°, I 30

Structural model:
```
Sc4PbAuN
1.0
3.1243 -7.2101 0.0000
3.1243 7.2101 0.0000
0.0000 0.0000 6.2361
Sc Pb Au N
8 2 2 2
direct
0.0000 0.5000 0.0000 Sc
0.0000 0.5000 0.5000 Sc
0.0783 0.9217 0.7500 Sc
0.4047 0.5953 0.7500 Sc
0.5000 0.0000 0.0000 Sc
0.5000 0.0000 0.5000 Sc
0.5953 0.4047 0.2500 Sc
0.9217 0.0783 0.2500 Sc
0.3939 0.6061 0.2500 Pb
0.6061 0.3939 0.7500 Pb
0.1162 0.8838 0.2500 Au
0.8838 0.1162 0.7500 Au
0.2496 0.7504 0.7500 N
0.7504 0.2496 0.2500 N
```



No. 2
Structure and theoretical PXRD pattern of K3NaO (a structure optimized by DFT (PBE); a wavelength of 1.5418 Å).

The 10 most intense peaks (10 to 90 degrees two-theta), sorted by position:
d = 6.839 Å, 2θ = 12.94°, I 76
d = 6.299 Å, 2θ = 14.06°, I 39
d = 6.040 Å, 2θ = 14.67°, I 74
d = 4.220 Å, 2θ = 21.05°, I 38
d = 3.561 Å, 2θ = 25.01°, I 33
d = 3.359 Å, 2θ = 26.54°, I 55
d = 3.219 Å, 2θ = 27.72°, I 43
d = 3.126 Å, 2θ = 28.55°, I 46
d = 2.971 Å, 2θ = 30.08°, I 28
d = 2.735 Å, 2θ = 32.75°, I 100

Structural model:
```
K3NaO
1.0
9.7952 0.0000 0.0000
0.0000 7.7113 0.0000
-8.3938 0.0000 10.9204
K Na O
12 4 4
direct
0.0125 0.2168 0.4805 K
0.0125 0.2832 0.9805 K
0.2350 0.0654 0.8037 K
0.2350 0.4346 0.3037 K
0.4750 0.7224 0.7723 K